Source =
~~~
The following is a DFT calculation (PBE+U) of an optimized crystal structure of ZrMo2O8.

Calculated values
As for the energy above the most stable polymorph in this dataset: 0.009 eV per atom. For the energy, the calculation gives -509.7 eV/cell. As for the symmetry: P-31c (163). For the energy relative to the elements, the calculation gives -2.46 eV/atom.

a b c (Å): 10.3594 10.3594 12.0756
angles (deg): 90.00 90.00 120.00
With the nearest neighbours (Å) after each atom.
Fractional coordinates of all 66 atoms:
Zr 0.0000 0.0000 0.0000  6 O 2.11
Zr 0.0000 0.0000 0.5000  6 O 2.11
Zr 0.3333 0.6667 0.0147  6 O 2.11
Zr 0.3333 0.6667 0.4853  6 O 2.11
Zr 0.6667 0.3333 0.5147  6 O 2.11
Zr 0.6667 0.3333 0.9853  6 O 2.11
Mo 0.0082 0.3376 0.8535  4 O 1.73-1.82
Mo 0.0082 0.6707 0.6465  4 O 1.73-1.82
Mo 0.3293 0.3376 0.6465  4 O 1.73-1.82
Mo 0.3293 0.9918 0.8535  4 O 1.73-1.82
Mo 0.3376 0.0082 0.3535  4 O 1.73-1.82
Mo 0.3376 0.3293 0.1465  4 O 1.73-1.82
Mo 0.6624 0.6707 0.8535  4 O 1.73-1.82
Mo 0.6624 0.9918 0.6465  4 O 1.73-1.82
Mo 0.6707 0.0082 0.1465  4 O 1.73-1.82
Mo 0.6707 0.6624 0.3535  4 O 1.73-1.82
Mo 0.9918 0.3293 0.3535  4 O 1.73-1.82
Mo 0.9918 0.6624 0.1465  4 O 1.73-1.82
O 0.0138 0.1755 0.4028  1 Mo 1.82
O 0.0138 0.8384 0.0972  1 Mo 1.82
O 0.0263 0.3459 0.7106  1 Mo 1.73
O 0.0263 0.6804 0.7894  1 Mo 1.73
O 0.1592 0.5035 0.3883  1 Mo 1.82
O 0.1592 0.6557 0.1117  1 Mo 1.82
O 0.1616 0.1755 0.0972  1 Mo 1.82
O 0.1616 0.9862 0.4028  1 Mo 1.82
O 0.1706 0.4953 0.9151  1 Mo 1.82
O 0.1706 0.6753 0.5849  1 Mo 1.82
O 0.1755 0.0138 0.9028  1 Mo 1.82
O 0.1755 0.1616 0.5972  1 Mo 1.82
O 0.3196 0.3459 0.7894  1 Mo 1.73
O 0.3196 0.9737 0.7106  1 Mo 1.73
O 0.3247 0.4953 0.5849  1 Mo 1.82
O 0.3247 0.8294 0.9151  1 Mo 1.82
O 0.3443 0.5035 0.1117  1 Mo 1.82
O 0.3443 0.8408 0.3883  1 Mo 1.82
O 0.3459 0.0263 0.2106  1 Mo 1.73
O 0.3459 0.3196 0.2894  1 Mo 1.73
O 0.4953 0.1706 0.4151  1 Mo 1.82
O 0.4953 0.3247 0.0849  1 Mo 1.82
O 0.4965 0.6557 0.3883  1 Mo 1.82
O 0.4965 0.8408 0.1117  1 Mo 1.82
O 0.5035 0.1592 0.8883  1 Mo 1.82
O 0.5035 0.3443 0.6117  1 Mo 1.82
O 0.5047 0.6753 0.9151  1 Mo 1.82
O 0.5047 0.8294 0.5849  1 Mo 1.82
O 0.6541 0.6804 0.7106  1 Mo 1.73
O 0.6541 0.9737 0.7894  1 Mo 1.73
O 0.6557 0.1592 0.6117  1 Mo 1.82
O 0.6557 0.4965 0.8883  1 Mo 1.82
O 0.6753 0.1706 0.0849  1 Mo 1.82
O 0.6753 0.5047 0.4151  1 Mo 1.82
O 0.6804 0.0263 0.2894  1 Mo 1.73
O 0.6804 0.6541 0.2106  1 Mo 1.73
O 0.8245 0.8384 0.4028  1 Mo 1.82
O 0.8245 0.9862 0.0972  1 Mo 1.82
O 0.8294 0.3247 0.4151  1 Mo 1.82
O 0.8294 0.5047 0.0849  1 Mo 1.82
O 0.8384 0.0138 0.5972  1 Mo 1.82
O 0.8384 0.8245 0.9028  1 Mo 1.82
O 0.8408 0.3443 0.8883  1 Mo 1.82
O 0.8408 0.4965 0.6117  1 Mo 1.82
O 0.9737 0.3196 0.2106  1 Mo 1.73
O 0.9737 0.6541 0.2894  1 Mo 1.73
O 0.9862 0.1616 0.9028  1 Mo 1.82
O 0.9862 0.8245 0.5972  1 Mo 1.82


Material: Li4Ti15O32
Method: DFT, PBE
State: optimized geometry

Geometry as POSCAR:
```
Li4Ti15O32
1.0
2.989 1.726 19.375
-2.989 1.726 19.375
0.000 -3.451 19.375
Li Ti O
4 15 32
Cartesian
0.000 0.000 5.481
0.000 0.000 9.051
0.000 0.000 49.075
0.000 0.000 52.645
0.000 0.000 0.000
0.000 -1.708 16.950
-1.479 0.854 16.950
-1.440 -0.831 26.744
0.000 0.000 14.462
0.000 -1.662 31.383
-1.440 0.831 31.383
-1.479 -0.854 41.176
1.479 0.854 16.950
1.440 -0.831 26.744
0.000 1.662 26.744
0.000 0.000 43.665
1.440 0.831 31.383
1.479 -0.854 41.176
0.000 1.708 41.176
-1.677 -0.968 22.915
0.000 0.000 3.477
0.000 -1.520 13.285
-1.317 0.760 13.285
0.000 -1.950 20.674
-1.689 0.975 20.674
0.000 0.000 11.056
-1.440 -0.832 30.499
-1.689 -0.975 37.452
0.000 0.000 17.956
0.000 -1.663 27.627
-1.440 0.832 27.627
0.000 -1.936 35.211
-1.677 0.968 35.211
0.000 0.000 25.680
-1.317 -0.760 44.842
1.317 0.760 13.285
0.000 0.000 32.446
1.677 -0.968 22.915
0.000 1.936 22.915
1.440 -0.832 30.499
0.000 1.663 30.499
0.000 0.000 40.170
1.689 0.975 20.674
1.440 0.832 27.627
0.000 0.000 47.071
1.689 -0.975 37.452
0.000 1.950 37.452
1.317 -0.760 44.842
0.000 1.520 44.842
0.000 0.000 54.649
~~~

Job =
Copy the whole of the rows further up word for word, please.

Completed =
The following is a DFT calculation (PBE+U) of an optimized crystal structure of ZrMo2O8.

Calculated values
As for the energy above the most stable polymorph in this dataset: 0.009 eV per atom. For the energy, the calculation gives -509.7 eV/cell. As for the symmetry: P-31c (163). For the energy relative to the elements, the calculation gives -2.46 eV/atom.

a b c (Å): 10.3594 10.3594 12.0756
angles (deg): 90.00 90.00 120.00
With the nearest neighbours (Å) after each atom.
Fractional coordinates of all 66 atoms:
Zr 0.0000 0.0000 0.0000  6 O 2.11
Zr 0.0000 0.0000 0.5000  6 O 2.11
Zr 0.3333 0.6667 0.0147  6 O 2.11
Zr 0.3333 0.6667 0.4853  6 O 2.11
Zr 0.6667 0.3333 0.5147  6 O 2.11
Zr 0.6667 0.3333 0.9853  6 O 2.11
Mo 0.0082 0.3376 0.8535  4 O 1.73-1.82
Mo 0.0082 0.6707 0.6465  4 O 1.73-1.82
Mo 0.3293 0.3376 0.6465  4 O 1.73-1.82
Mo 0.3293 0.9918 0.8535  4 O 1.73-1.82
Mo 0.3376 0.0082 0.3535  4 O 1.73-1.82
Mo 0.3376 0.3293 0.1465  4 O 1.73-1.82
Mo 0.6624 0.6707 0.8535  4 O 1.73-1.82
Mo 0.6624 0.9918 0.6465  4 O 1.73-1.82
Mo 0.6707 0.0082 0.1465  4 O 1.73-1.82
Mo 0.6707 0.6624 0.3535  4 O 1.73-1.82
Mo 0.9918 0.3293 0.3535  4 O 1.73-1.82
Mo 0.9918 0.6624 0.1465  4 O 1.73-1.82
O 0.0138 0.1755 0.4028  1 Mo 1.82
O 0.0138 0.8384 0.0972  1 Mo 1.82
O 0.0263 0.3459 0.7106  1 Mo 1.73
O 0.0263 0.6804 0.7894  1 Mo 1.73
O 0.1592 0.5035 0.3883  1 Mo 1.82
O 0.1592 0.6557 0.1117  1 Mo 1.82
O 0.1616 0.1755 0.0972  1 Mo 1.82
O 0.1616 0.9862 0.4028  1 Mo 1.82
O 0.1706 0.4953 0.9151  1 Mo 1.82
O 0.1706 0.6753 0.5849  1 Mo 1.82
O 0.1755 0.0138 0.9028  1 Mo 1.82
O 0.1755 0.1616 0.5972  1 Mo 1.82
O 0.3196 0.3459 0.7894  1 Mo 1.73
O 0.3196 0.9737 0.7106  1 Mo 1.73
O 0.3247 0.4953 0.5849  1 Mo 1.82
O 0.3247 0.8294 0.9151  1 Mo 1.82
O 0.3443 0.5035 0.1117  1 Mo 1.82
O 0.3443 0.8408 0.3883  1 Mo 1.82
O 0.3459 0.0263 0.2106  1 Mo 1.73
O 0.3459 0.3196 0.2894  1 Mo 1.73
O 0.4953 0.1706 0.4151  1 Mo 1.82
O 0.4953 0.3247 0.0849  1 Mo 1.82
O 0.4965 0.6557 0.3883  1 Mo 1.82
O 0.4965 0.8408 0.1117  1 Mo 1.82
O 0.5035 0.1592 0.8883  1 Mo 1.82
O 0.5035 0.3443 0.6117  1 Mo 1.82
O 0.5047 0.6753 0.9151  1 Mo 1.82
O 0.5047 0.8294 0.5849  1 Mo 1.82
O 0.6541 0.6804 0.7106  1 Mo 1.73
O 0.6541 0.9737 0.7894  1 Mo 1.73
O 0.6557 0.1592 0.6117  1 Mo 1.82
O 0.6557 0.4965 0.8883  1 Mo 1.82
O 0.6753 0.1706 0.0849  1 Mo 1.82
O 0.6753 0.5047 0.4151  1 Mo 1.82
O 0.6804 0.0263 0.2894  1 Mo 1.73
O 0.6804 0.6541 0.2106  1 Mo 1.73
O 0.8245 0.8384 0.4028  1 Mo 1.82
O 0.8245 0.9862 0.0972  1 Mo 1.82
O 0.8294 0.3247 0.4151  1 Mo 1.82
O 0.8294 0.5047 0.0849  1 Mo 1.82
O 0.8384 0.0138 0.5972  1 Mo 1.82
O 0.8384 0.8245 0.9028  1 Mo 1.82
O 0.8408 0.3443 0.8883  1 Mo 1.82
O 0.8408 0.4965 0.6117  1 Mo 1.82
O 0.9737 0.3196 0.2106  1 Mo 1.73
O 0.9737 0.6541 0.2894  1 Mo 1.73
O 0.9862 0.1616 0.9028  1 Mo 1.82
O 0.9862 0.8245 0.5972  1 Mo 1.82


Material: Li4Ti15O32
Method: DFT, PBE
State: optimized geometry

Geometry as POSCAR:
```
Li4Ti15O32
1.0
2.989 1.726 19.375
-2.989 1.726 19.375
0.000 -3.451 19.375
Li Ti O
4 15 32
Cartesian
0.000 0.000 5.481
0.000 0.000 9.051
0.000 0.000 49.075
0.000 0.000 52.645
0.000 0.000 0.000
0.000 -1.708 16.950
-1.479 0.854 16.950
-1.440 -0.831 26.744
0.000 0.000 14.462
0.000 -1.662 31.383
-1.440 0.831 31.383
-1.479 -0.854 41.176
1.479 0.854 16.950
1.440 -0.831 26.744
0.000 1.662 26.744
0.000 0.000 43.665
1.440 0.831 31.383
1.479 -0.854 41.176
0.000 1.708 41.176
-1.677 -0.968 22.915
0.000 0.000 3.477
0.000 -1.520 13.285
-1.317 0.760 13.285
0.000 -1.950 20.674
-1.689 0.975 20.674
0.000 0.000 11.056
-1.440 -0.832 30.499
-1.689 -0.975 37.452
0.000 0.000 17.956
0.000 -1.663 27.627
-1.440 0.832 27.627
0.000 -1.936 35.211
-1.677 0.968 35.211
0.000 0.000 25.680
-1.317 -0.760 44.842
1.317 0.760 13.285
0.000 0.000 32.446
1.677 -0.968 22.915
0.000 1.936 22.915
1.440 -0.832 30.499
0.000 1.663 30.499
0.000 0.000 40.170
1.689 0.975 20.674
1.440 0.832 27.627
0.000 0.000 47.071
1.689 -0.975 37.452
0.000 1.950 37.452
1.317 -0.760 44.842
0.000 1.520 44.842
0.000 0.000 54.649